Most of us are taught from a young age to be fearful of strangers. If not fearful at least wary, very wary.
We ensure a person ‘proves’ themselves rather than trust them initially, we think or are led to believe this will help keep us safe. Safe from these unknown, non-specific but often thought about dangers.
In the rare instance that that particular ‘stranger’ actually poses a real threat this approach seems wise, necessary even and parents worldwide unite in their well-meaning, and yes sometimes necessary, fear-based approach to strangers.
I am not for a moment saying don’t keep your children safe or teach awareness. I am a Mum, I get it and I have taught and supported ‘stranger danger’ but in this process how many people do we unfairly judge?
How many opportunities for new connections and relationships do we miss? And how much of this fear taught to protect us as a child do we carry into adulthood? What does this underlying and almost constant fear or wariness do to our experience of life?
I know this might be controversial, it may even trigger some but here is what got me thinking about this. As I worked with more and more people who were reluctant to try anything new, as I explored my own reluctance to try new things and take a risk I started to wonder something and I asked myself a question.

As we grow do we replace our fear of strangers with a fear of ‘strangeness’?
A fear or again at best a wariness of anything that appears strange, anything that appears ‘strange’ from our limited experience, from our current perspective.
This means anything different! Anything we haven’t yet experienced, even those things we may deeply desire, can now be in the ‘strangers’ category. Something to be at best wary of and at worst fearful of and therefore to avoid.
Do we deem them as ‘strange’ automatically, sub consciously, and therefore we put up, again sub consciously, our ‘stranger’ barrier?
[Unrelated to this page: quantum chemistry results]
/*
{
  "formula": "C3H5FN2S",
  "method": "ωB97M-V with the def2-TZVPD basis set",
  "elements": ["C", "C", "C", "H", "H", "H", "H", "H", "N", "N", "F", "S"],
  "coordinates": [[-0.08, -0.88, -1.10], [-0.78, -0.72, 0.09], [-0.63, 0.25, 1.14], [1.43, -0.30, -2.28], [1.62, 0.07, -0.51], [-0.29, -1.84, -1.54], [0.47, 1.58, -0.07], [-0.16, 2.21, 1.56], [0.93, 0.04, -1.42], [0.19, 1.39, 0.92], [-1.54, -1.84, 0.49], [-1.16, 0.04, 2.71]],
  "de_lowest_kcal_mol": 30.2,
  "orbital_gap_ev": 7.916,
  "energy_ev": -19723.3162,
  "homo_ev": -8.386,
  "smiles": "N/C=C(/F)C(N)=S"
}

----------

No. 1
{
  "formula": "C41H56N9O",
  "method": "ωB97M-V/def2-TZVPD",
  "max_force_ha_per_bohr": 0.029,
  "charge": -1,
  "homo_lumo_gap_ev": 4.09,
  "elements": ["C", "C", "C", "O", "C", "C", "H", "H", "H", "H", "H", "H", "H", "H", "H", "H", "H", "N", "C", "C", "C", "C", "H", "H", "H", "H", "H", "N", "C", "C", "C", "C", "H", "H", "H", "H", "H", "N", "C", "C", "C", "C", "H", "H", "H", "H", "H", "N", "C", "C", "C", "C", "H", "H", "H", "H", "H", "N", "C", "C", "C", "C", "H", "H", "H", "H", "H", "N", "C", "C", "C", "C", "H", "H", "H", "H", "H", "N", "C", "C", "C", "C", "H", "H", "H", "H", "H", "N", "C", "C", "C", "C", "H", "H", "H", "H", "H", "N", "C", "C", "C", "C", "H", "H", "H", "H", "H"],
*/
[End of the quantum chemistry results]
What if we were taught to approach strangers and therefore ‘strangeness’ with curiosity, respect, intuition and even eagerness with an understanding of the possibility of experiencing, connecting with and even learning something new?
Statistics will sadly tell us those closest to us pose the greatest risk to us yet still we teach this fear of strangers.
Familiarity can be our growth’s greatest threat, yet we fear and avoid ‘strangeness’. Familiarity can be the greatest barrier to us reaching our potential and living a fulfilled life. Yet we remain fearful of and reluctant to embrace ‘strangeness’, something or someone seemingly different.
What if we decided to follow our intuition and not our often prejudiced or at least unfounded fears.
Is ‘strangeness’ our enemy or is in fact familiarity?
Misplaced records of molecules:
Below is a gas-phase ion, C4H6BrN4O (charge +1), with properties calculated with ωB97M-V with the def2-TZVPD basis set.

Summary:
SMILES string = Nc1nc(CC(=O)Br)[nH][nH+]1
total charge = +1

Positions of all 16 atoms, in Å:
N (-0.3403, 1.7577, -0.3763)
O (1.0593, -3.0838, 0.6950)
C (-0.0205, 1.3771, 0.8795)
H (-0.7492, -1.9120, -1.6822)
H (-0.0747, 2.0776, 2.7920)
N (0.2773, 2.2408, 1.8619)
C (-0.5243, -1.8290, -0.6185)
N (-0.5398, 0.6241, -1.0841)
C (0.8025, -2.5314, -0.3084)
H (-0.3916, 2.6829, -0.7786)
Br (2.0745, -2.3387, -1.7545)
H (-1.3231, -2.2995, -0.0390)
H (0.9542, 2.9760, 1.7403)
C (-0.3981, -0.3951, -0.2295)
N (-0.0710, 0.0478, 0.9777)
H (-0.7353, 0.6056, -2.0754)

Here are the Löwdin charges for atoms 1 to 8, given in e: number 1, N, carries 0.16; number 2, O, carries 0.11; number 3, C, carries -0.36; number 4, H, carries 0.11; number 5, H, carries 0.13; number 6, N, carries 0.19; number 7, C, carries -0.10; number 8, N, carries 0.16

---

Below is 15 unconnected molecules or ions with the total composition C4H37NO16, with properties calculated with ωB97M-V with the def2-TZVPD basis set.

Positions of all 58 atoms, in Å:
H (-1.0641, -3.5048, 0.1481)
C (1.9941, -0.2940, 0.1966)
H (0.6520, 2.4926, -0.9032)
C (1.7068, 0.6805, -2.0801)
H (1.6547, -2.6162, 1.9945)
O (-2.0537, 0.4611, -1.8979)
H (-3.5713, -2.8669, 2.1186)
H (-1.9754, -1.0928, 2.9473)
H (-1.7793, -2.4533, -3.3496)
H (3.9610, -3.0331, -1.5009)
O (-1.1897, -0.5884, 2.8591)
O (-1.9305, -3.4006, -0.2469)
H (-1.6045, -2.9498, -1.0663)
H (4.1017, -3.0211, 0.0582)
H (0.8883, 1.4627, 0.9415)
H (-3.8669, -0.4222, 1.4544)
H (2.6394, 1.7007, 0.8427)
O (4.1926, -2.4572, -0.8176)
H (-0.3668, 3.6875, 0.5306)
H (-1.2173, 3.3586, 1.7686)
O (-3.9570, 0.5675, 1.4432)
O (0.3336, -1.8584, 1.1348)
H (-1.4623, 0.3690, 2.7820)
C (0.8582, -1.2580, -0.0924)
O (2.2638, -3.3518, 2.0713)
O (3.8476, 3.2457, -0.6088)
H (-2.6210, 2.4822, 3.1729)
H (-1.3013, 0.9472, -2.2217)
H (1.2980, -2.1952, -0.5796)
H (1.2016, 3.9514, -1.0767)
H (-2.7489, -2.2105, 0.9413)
C (1.8577, 0.9463, 1.0967)
O (-1.3803, -2.1231, -2.5274)
H (-2.4659, 1.4587, 1.8875)
H (3.3505, -0.3483, -1.2807)
H (1.8529, 0.5458, 2.1340)
O (-1.9427, 1.9794, 2.5575)
H (-0.1687, -1.2823, 1.7535)
H (1.8177, -4.0207, 2.5861)
H (0.0235, -0.7945, -0.6571)
H (-1.8640, -1.3908, -2.3183)
H (-4.0781, 0.8022, 0.5524)
O (0.5647, 1.0730, -1.9521)
H (3.8396, 2.3796, -0.8250)
O (-2.5842, 2.9073, -0.7546)
N (2.4812, 0.1329, -1.1655)
O (-1.1082, 3.9751, 0.9595)
H (2.2837, 0.7849, -2.9804)
H (-2.0093, 3.4321, -0.0328)
H (2.6841, -0.9649, 0.7473)
O (1.1141, 3.2449, -0.4261)
H (0.7447, -1.8909, -2.6659)
H (3.1036, 3.5384, -0.0879)
O (-3.2079, -1.9528, 1.8296)
H (-3.3549, 3.4599, -0.9304)
H (0.5348, -1.1505, -3.9402)
O (1.2854, -1.4929, -3.4103)
H (-2.2573, 0.9188, -1.1130)
The records of molecules stop here:
Jodi Reeves